== Entries ==
- - -
(1)
110
Properties=species:S:1:pos:R:3:forces:R:3:mulliken_spin:R:1 method="wB97M-V/def2-TZVPD" spin_multiplicity=2 e_homo_ha="-0.3643 / -0.3643" max_force_ha_per_bohr=0.09869 energy_ha=-3920.01184 lumo_energy_ev="-0.37 / -3.81" molar_mass_g_mol=789.6
C 0.2900 -0.5766 -0.3517 1.348 -0.134 0.826 -0.0101
C -0.7671 -0.1352 -1.3112 -0.865 0.387 -0.077 0.0190
O -1.4457 1.0917 -1.1988 1.040 -1.336 0.501 0.8844
H 1.2830 -0.2098 -0.6114 0.003 0.499 0.173 0.0134
H 0.4526 -1.6543 -0.3662 -0.436 -0.264 -0.535 0.0007
H 0.1158 -0.4346 0.7149 -0.323 0.657 -0.132 -0.0016
H -1.4758 -0.9617 -1.3642 -0.842 0.141 -0.173 0.0347
H -0.3816 -0.1261 -2.3307 0.152 0.075 -0.458 0.0524
C -2.4843 -5.9465 -5.1856 -0.689 0.772 -0.582 0.0000
C -2.0308 -5.1525 -3.9731 -1.697 -1.733 1.934 0.0000
O -2.3052 -5.5115 -2.8278 0.303 0.210 -0.424 0.0001
N -1.5191 -3.9601 -4.2410 1.994 0.580 -1.512 -0.0001
C -1.2640 -2.8681 -3.3218 -1.497 -0.112 0.013 0.0034
H -1.6884 -6.3943 -5.7805 -0.104 -0.055 0.131 0.0000
H -3.0305 -5.2145 -5.7806 0.484 0.286 -0.621 0.0000
H -3.3355 -6.6071 -5.0207 0.731 -0.570 0.793 0.0000
H -1.1734 -3.9144 -5.1889 -0.078 0.631 0.093 0.0001
H -2.1466 -2.2503 -3.4876 0.097 0.710 0.445 -0.0005
H -0.3834 -2.2493 -3.4941 0.184 -0.580 -0.245 0.0005
H -1.3295 -3.2261 -2.2943 0.321 -0.150 -0.108 -0.0013
C -2.3837 1.5840 -4.8055 -0.966 -0.408 0.435 -0.0027
C -3.1593 2.7440 -4.2105 -0.029 -1.780 -4.178 0.0004
O -3.9462 3.3350 -4.9153 -0.743 0.955 -0.257 0.0007
N -2.9023 3.0094 -2.9938 -0.019 1.854 4.724 0.0030
C -3.4776 4.1699 -2.3092 0.838 0.145 1.366 -0.0002
H -2.8898 1.4206 -5.7569 0.918 0.070 -0.324 0.0000
H -2.6179 0.6906 -4.2267 0.212 -0.209 0.281 0.0007
H -1.3094 1.7632 -4.7637 -0.117 -0.082 -0.647 0.0006
H -2.3871 2.3716 -2.4039 -0.051 0.013 -0.348 -0.0064
H -4.5469 4.3807 -2.3269 0.051 -0.530 -0.821 0.0003
H -2.9146 5.0793 -2.5191 -0.207 0.053 -0.518 -0.0001
H -3.2652 4.0087 -1.2523 -0.024 -0.099 0.193 -0.0004
C 0.6218 1.4216 5.6044 -0.989 -1.234 -0.784 0.0000
C 1.3619 0.0559 5.7568 -0.238 1.082 1.717 0.0000
O 1.8113 -0.2961 6.8373 -0.052 0.424 -0.152 0.0000
N 1.4510 -0.8049 4.7249 -1.141 0.706 -2.912 0.0000
C 1.1249 -0.4152 3.2807 0.595 -0.513 1.088 -0.0003
H 1.2364 2.3205 5.5553 0.140 -0.345 0.146 0.0000
H -0.1860 1.5222 6.3293 0.731 -0.052 0.867 0.0000
H -0.0368 1.3685 4.7374 0.483 0.306 -0.551 0.0000
H 2.0582 -1.5781 4.9564 -0.077 -0.138 -0.427 0.0000
H 0.8157 -1.2233 2.6178 0.386 -0.729 0.612 0.0001
H 1.9996 0.0553 2.8315 -0.101 0.177 -0.064 -0.0001
H 0.2559 0.2382 3.2038 0.316 0.212 0.547 0.0006
C -3.9298 1.3144 2.1661 -0.382 -0.834 0.785 0.0014
C -5.0656 0.9043 1.2659 -1.667 0.711 0.424 -0.0013
O -6.2225 0.7717 1.7131 2.214 0.037 -0.957 0.0004
N -4.7517 0.7199 -0.0466 -0.021 -0.295 0.843 0.0006
C -5.6695 -0.0186 -0.8635 0.978 -0.706 -1.700 -0.0004
H -4.1467 0.6676 3.0162 0.295 0.126 0.389 0.0000
H -4.0065 2.3348 2.5417 0.069 -0.001 -0.347 0.0000
H -2.9347 1.0324 1.8221 0.017 0.371 -0.275 -0.0006
H -3.7841 0.7779 -0.3302 -0.192 0.042 0.142 0.0104
H -5.1082 -0.7240 -1.4762 0.517 -0.414 0.166 -0.0004
H -6.0258 0.5998 -1.6874 -1.223 0.181 0.596 -0.0002
H -6.3220 -0.6629 -0.2742 -0.513 0.834 -0.138 0.0004
C 1.3515 2.8143 1.9064 0.321 0.424 -1.706 0.0005
C 1.1823 4.0311 0.9260 1.185 2.612 0.425 0.0008
O 1.9399 5.0277 1.0328 -1.848 -2.464 -0.262 0.0004
N 0.1966 3.9724 -0.0516 0.715 -1.363 1.233 0.0021
C -0.1437 4.9687 -1.0413 -0.119 1.069 0.492 0.0013
H 1.6565 3.0916 2.9155 -0.445 0.332 -0.187 0.0000
H 2.2227 2.3059 1.4933 0.255 -0.148 -0.001 0.0003
H 0.5601 2.0656 1.8703 -0.283 0.344 0.172 -0.0009
H -0.2486 3.0662 -0.0784 -0.376 0.243 -0.241 -0.0135
H 0.5703 5.7921 -1.0269 0.589 -0.491 -0.234 -0.0002
H -1.0410 5.5280 -0.7763 -0.455 -0.392 0.174 0.0000
H -0.3033 4.5677 -2.0422 0.316 -0.150 0.057 -0.0003
C -1.6394 -2.3773 4.0236 -0.537 1.816 2.647 0.0001
O -1.3278 -3.2152 3.0068 -0.180 -2.307 -3.361 0.0000
P -2.4182 -4.2510 2.3422 2.446 -1.362 -1.065 -0.0001
O -3.0069 -5.1697 3.3165 -0.763 1.008 -0.430 0.0000
- - -

== Wanted ==
What is needed: echo every line further above that contains the word "Properties".

== Result ==
Properties=species:S:1:pos:R:3:forces:R:3:mulliken_spin:R:1 method="wB97M-V/def2-TZVPD" spin_multiplicity=2 e_homo_ha="-0.3643 / -0.3643" max_force_ha_per_bohr=0.09869 energy_ha=-3920.01184 lumo_energy_ev="-0.37 / -3.81" molar_mass_g_mol=789.6